Exercise =
Return the whole of the material further below with every line break kept, please.

Input =
<<<
! GGA-PBE Er12Pd6N, relaxed; values from VASP
! total magnetic moment	0.00	μB per cell
! formation energy (no corrections)	-0.658	eV per atom
&SYSTEM
  ibrav = 0, nat = 19, ntyp = 3
/
ATOMIC_SPECIES
Er 167.26 Er.upf
Pd 106.42 Pd.upf
N 14.01 N.upf
CELL_PARAMETERS angstrom
7.9179 0.0203 0.0243
-1.1803 7.8295 0.0243
-1.1803 -1.3752 7.7078
ATOMIC_POSITIONS crystal
Er 0.6946 0.9211 0.0185
Er 0.4379 0.8128 0.5847
Er 0.4153 0.5621 0.1872
Er 0.8128 0.5847 0.4379
Er 0.9815 0.3054 0.0789
Er 0.0789 0.9815 0.3054
Er 0.0185 0.6946 0.9211
Er 0.5847 0.4379 0.8128
Er 0.5621 0.1872 0.4153
Er 0.1872 0.4153 0.5621
Er 0.3054 0.0789 0.9815
Er 0.9211 0.0185 0.6946
Pd 0.1191 0.6376 0.2986
Pd 0.7014 0.8809 0.3624
Pd 0.2986 0.1191 0.6376
Pd 0.6376 0.2986 0.1191
Pd 0.8809 0.3624 0.7014
Pd 0.3624 0.7014 0.8809
N 0.0000 0.0000 0.0000

=====

[1]
A plane-wave DFT calculation with PBE-GGA was carried out for a relaxed structure of LiU2PaP4.

Summary:
Its space group is P2/m (10). The value obtained for the total magnetization is 0.571 μB per atom. The calculated formation energy comes out at -85.4 kJ/mol of atoms. The volume comes out at 21.5 Å³ per atom.

a = 3.951 Å, b = 6.684 Å, c = 6.903 Å
α = 109.52°, β = 90.00°, γ = 90.00°
Positions (direct):
Li  0.500  0.500  0.000
U  0.500  0.000  0.500
U  0.000  0.500  0.500
Pa  0.000  0.000  0.000
P  0.500  0.253  0.249
P  0.500  0.747  0.751
P  0.000  0.246  0.746
P  0.000  0.754  0.254

=====

[2]
A plane-wave DFT calculation with PBE-GGA was carried out for a relaxed structure of LiUPa2P4.

Summary:
Its space group is P2/m (10). The value obtained for the total magnetization is 0.334 μB per atom. The calculated formation energy comes out at -94.3 kJ/mol of atoms. The volume comes out at 21.6 Å³ per atom.

a = 3.978 Å, b = 6.843 Å, c = 6.740 Å
α = 109.81°, β = 90.00°, γ = 90.00°
Positions (direct):
Li  0.500  0.500  0.000
U  0.000  0.000  0.000
Pa  0.500  0.000  0.500
Pa  0.000  0.500  0.500
P  0.500  0.251  0.246
P  0.500  0.749  0.754
P  0.000  0.249  0.749
P  0.000  0.751  0.251

=====

[3]
A plane-wave DFT calculation with PBE-GGA was carried out for a relaxed structure of LiZrPa2P4.

Summary:
Its space group is P2/m (10). The value obtained for the total magnetization is 0.000 μB per atom. The calculated formation energy comes out at -107.3 kJ/mol of atoms. The volume comes out at 20.4 Å³ per atom.

a = 3.935 Å, b = 6.869 Å, c = 6.456 Å
α = 110.53°, β = 90.00°, γ = 90.00°
Positions (direct):
Li  0.500  0.500  0.000
Zr  0.000  0.000  0.000
Pa  0.500  0.000  0.500
Pa  0.000  0.500  0.500
P  0.500  0.247  0.239
P  0.500  0.753  0.761
P  0.000  0.251  0.759
P  0.000  0.749  0.241

=====

[4]
A plane-wave DFT calculation with PBE-GGA was carried out for a relaxed structure of LiZr2PaP4.

Summary:
Its space group is P2/m (10). The value obtained for the total magnetization is 0.000 μB per atom. The calculated formation energy comes out at -112.0 kJ/mol of atoms. The volume comes out at 19.6 Å³ per atom.

a = 3.809 Å, b = 6.435 Å, c = 6.755 Å
α = 108.66°, β = 90.00°, γ = 90.00°
Positions (direct):
Li  0.500  0.500  0.000
Zr  0.500  0.000  0.500
Zr  0.000  0.500  0.500
Pa  0.000  0.000  0.000
P  0.500  0.259  0.259
P  0.500  0.741  0.741
P  0.000  0.249  0.743
P  0.000  0.751  0.257

=====

[5]
A plane-wave DFT calculation with PBE-GGA was carried out for a relaxed structure of LiPPb3.

Summary:
Its space group is Pm-3m (221). The value obtained for the total magnetization is 0.000 μB per atom. The offset from the most stable computed form comes out at 0.000 eV/atom. The calculated formation energy comes out at 31.8 kJ/mol of atoms. The volume comes out at 33.6 Å³ per atom.

a = 5.516 Å, b = 5.516 Å, c = 5.516 Å
α = 90.00°, β = 90.00°, γ = 90.00°
Positions (direct):
Pb  0.000  0.500  0.000
Pb  0.000  0.000  0.500
Pb  0.500  0.000  0.000
P  0.000  0.000  0.000
Li  0.500  0.500  0.500

=====

[6]
A plane-wave DFT calculation with PBE-GGA was carried out for a relaxed structure of Li4P2Pb.

Summary:
>>>

Worked solution =
! GGA-PBE Er12Pd6N, relaxed; values from VASP
! total magnetic moment	0.00	μB per cell
! formation energy (no corrections)	-0.658	eV per atom
&SYSTEM
  ibrav = 0, nat = 19, ntyp = 3
/
ATOMIC_SPECIES
Er 167.26 Er.upf
Pd 106.42 Pd.upf
N 14.01 N.upf
CELL_PARAMETERS angstrom
7.9179 0.0203 0.0243
-1.1803 7.8295 0.0243
-1.1803 -1.3752 7.7078
ATOMIC_POSITIONS crystal
Er 0.6946 0.9211 0.0185
Er 0.4379 0.8128 0.5847
Er 0.4153 0.5621 0.1872
Er 0.8128 0.5847 0.4379
Er 0.9815 0.3054 0.0789
Er 0.0789 0.9815 0.3054
Er 0.0185 0.6946 0.9211
Er 0.5847 0.4379 0.8128
Er 0.5621 0.1872 0.4153
Er 0.1872 0.4153 0.5621
Er 0.3054 0.0789 0.9815
Er 0.9211 0.0185 0.6946
Pd 0.1191 0.6376 0.2986
Pd 0.7014 0.8809 0.3624
Pd 0.2986 0.1191 0.6376
Pd 0.6376 0.2986 0.1191
Pd 0.8809 0.3624 0.7014
Pd 0.3624 0.7014 0.8809
N 0.0000 0.0000 0.0000

=====

[1]
A plane-wave DFT calculation with PBE-GGA was carried out for a relaxed structure of LiU2PaP4.

Summary:
Its space group is P2/m (10). The value obtained for the total magnetization is 0.571 μB per atom. The calculated formation energy comes out at -85.4 kJ/mol of atoms. The volume comes out at 21.5 Å³ per atom.

a = 3.951 Å, b = 6.684 Å, c = 6.903 Å
α = 109.52°, β = 90.00°, γ = 90.00°
Positions (direct):
Li  0.500  0.500  0.000
U  0.500  0.000  0.500
U  0.000  0.500  0.500
Pa  0.000  0.000  0.000
P  0.500  0.253  0.249
P  0.500  0.747  0.751
P  0.000  0.246  0.746
P  0.000  0.754  0.254

=====

[2]
A plane-wave DFT calculation with PBE-GGA was carried out for a relaxed structure of LiUPa2P4.

Summary:
Its space group is P2/m (10). The value obtained for the total magnetization is 0.334 μB per atom. The calculated formation energy comes out at -94.3 kJ/mol of atoms. The volume comes out at 21.6 Å³ per atom.

a = 3.978 Å, b = 6.843 Å, c = 6.740 Å
α = 109.81°, β = 90.00°, γ = 90.00°
Positions (direct):
Li  0.500  0.500  0.000
U  0.000  0.000  0.000
Pa  0.500  0.000  0.500
Pa  0.000  0.500  0.500
P  0.500  0.251  0.246
P  0.500  0.749  0.754
P  0.000  0.249  0.749
P  0.000  0.751  0.251

=====

[3]
A plane-wave DFT calculation with PBE-GGA was carried out for a relaxed structure of LiZrPa2P4.

Summary:
Its space group is P2/m (10). The value obtained for the total magnetization is 0.000 μB per atom. The calculated formation energy comes out at -107.3 kJ/mol of atoms. The volume comes out at 20.4 Å³ per atom.

a = 3.935 Å, b = 6.869 Å, c = 6.456 Å
α = 110.53°, β = 90.00°, γ = 90.00°
Positions (direct):
Li  0.500  0.500  0.000
Zr  0.000  0.000  0.000
Pa  0.500  0.000  0.500
Pa  0.000  0.500  0.500
P  0.500  0.247  0.239
P  0.500  0.753  0.761
P  0.000  0.251  0.759
P  0.000  0.749  0.241

=====

[4]
A plane-wave DFT calculation with PBE-GGA was carried out for a relaxed structure of LiZr2PaP4.

Summary:
Its space group is P2/m (10). The value obtained for the total magnetization is 0.000 μB per atom. The calculated formation energy comes out at -112.0 kJ/mol of atoms. The volume comes out at 19.6 Å³ per atom.

a = 3.809 Å, b = 6.435 Å, c = 6.755 Å
α = 108.66°, β = 90.00°, γ = 90.00°
Positions (direct):
Li  0.500  0.500  0.000
Zr  0.500  0.000  0.500
Zr  0.000  0.500  0.500
Pa  0.000  0.000  0.000
P  0.500  0.259  0.259
P  0.500  0.741  0.741
P  0.000  0.249  0.743
P  0.000  0.751  0.257

=====

[5]
A plane-wave DFT calculation with PBE-GGA was carried out for a relaxed structure of LiPPb3.

Summary:
Its space group is Pm-3m (221). The value obtained for the total magnetization is 0.000 μB per atom. The offset from the most stable computed form comes out at 0.000 eV/atom. The calculated formation energy comes out at 31.8 kJ/mol of atoms. The volume comes out at 33.6 Å³ per atom.

a = 5.516 Å, b = 5.516 Å, c = 5.516 Å
α = 90.00°, β = 90.00°, γ = 90.00°
Positions (direct):
Pb  0.000  0.500  0.000
Pb  0.000  0.000  0.500
Pb  0.500  0.000  0.000
P  0.000  0.000  0.000
Li  0.500  0.500  0.500

=====

[6]
A plane-wave DFT calculation with PBE-GGA was carried out for a relaxed structure of Li4P2Pb.

Summary: